_Activity_
Start at the top of the data underneath and echo each line, ending with the one that has "6.9424".

_Excerpt_
<<<
Record 1
# C4H10N2O2

C4H10N2O2 as an isolated structure (the ωB97M-V functional and the def2-TZVPD basis, the Open Molecules 2025 dataset).

Cartesian coordinates (Å):
C  2.1703  -0.3002  -0.9078
C  -0.5667  -1.2267  1.1232
C  -0.5831  0.6892  -0.1203
C  -0.2585  2.0845  0.3171
H  2.0987  0.4528  -1.6886
H  1.8149  -1.2770  -1.4547
H  3.2019  -0.5125  -0.4333
H  -0.1207  -0.8251  2.1204
H  -1.7236  -0.9881  0.8399
H  -0.4452  -2.5760  1.1121
H  -0.2519  2.0570  1.4895
H  -1.3861  2.4880  0.1431
H  0.5592  2.4987  -0.2001
H  -1.7832  -1.4354  -1.2893
N  0.1198  -0.5300  -0.0196
N  -1.8292  0.4058  -0.5176
O  1.4332  -0.2664  0.2635
O  -2.4498  -0.7386  -0.7778

Computed properties:
relative energy (zero: lowest compared OMol25 entry of this formula, charge and spin)	209.1	kcal/mol
total charge	0

=====

Record 2
# C78H195N13

A 13-piece molecular cluster, C78H195N13 overall (the ωB97M-V functional and the def2-TZVPD basis, the Open Molecules 2025 dataset).

Cartesian coordinates (Å):
C  4.8561  1.4008  -3.2089
C  5.2998  1.4272  -1.7192
N  5.5983  2.8185  -1.3173
C  4.3679  3.6409  -1.4675
C  4.7978  5.0748  -1.6885
C  6.0764  2.7917  0.0277
C  7.5335  2.3455  0.1098
H  4.6900  0.3344  -3.3615
H  5.6201  1.8416  -3.8494
H  3.8862  1.8660  -3.3852
H  4.4969  0.8976  -1.2063
H  6.1934  0.8108  -1.6209
H  3.7723  3.5054  -2.3703
H  3.6834  3.5905  -0.6208
H  5.2736  5.1360  -2.6673
H  3.9230  5.7249  -1.6962
H  5.4545  5.3586  -0.8662
H  5.3613  2.2052  0.6046
H  6.0967  3.7931  0.4577
H  7.7601  1.3427  -0.2523
H  8.0500  2.4292  1.0660
H  8.0695  2.9160  -0.6486
C  -2.4382  7.3309  1.8193
C  -1.4602  6.6888  0.7967
N  -0.0746  7.0566  1.0563
C  0.7157  6.8546  -0.2054
C  0.9338  5.3873  -0.5978
C  0.4593  6.3670  2.2417
C  1.8400  6.8388  2.6173
H  -2.3331  8.4154  1.8502
H  -2.2137  6.9424  2.8127
H  -3.4963  7.1496  1.6308
H  -1.5228  5.6009  0.8257
H  -1.8611  7.0156  -0.1628
H  0.3121  7.5084  -0.9784
H  1.6471  7.3539  0.0617
H  1.2134  5.3946  -1.6514
H  1.6616  4.8369  -0.0016
H  -0.0383  4.8951  -0.5699
H  0.4473  5.2927  2.0577
H  -0.2382  6.4579  3.0744
H  1.9347  7.9240  2.6570
H  2.5124  6.5539  1.8081
H  2.1834  6.3278  3.5167
C  0.0997  -4.8574  2.5990
C  0.8379  -6.1998  2.6876
N  2.2311  -6.0886  3.2311
C  3.2405  -5.4347  2.3704
C  3.4176  -6.0827  1.0717
C  2.3215  -5.4888  4.5617
C  1.4421  -6.0989  5.6342
H  -0.8308  -4.9496  2.0387
H  0.7196  -4.1104  2.1031
H  -0.0728  -4.4577  3.5982
H  0.2579  -6.8959  3.2935
H  0.9679  -6.6440  1.7007
H  2.9916  -4.3865  2.2047
H  4.1914  -5.4285  2.9033
H  2.5679  -5.8548  0.4281
H  4.3594  -5.7167  0.6629
H  3.5459  -7.1644  1.1132
H  2.1303  -4.4167  4.6091
H  3.3517  -5.5544  4.9115
H  1.4463  -7.1732  5.4500
H  0.4135  -5.8045  5.4259
H  1.7463  -5.8828  6.6583
C  -7.3107  -6.8875  0.6171
C  -6.6699  -5.5132  0.8281
N  -5.2210  -5.6347  0.5158
C  -4.5828  -4.3218  0.4069
C  -5.1154  -3.4918  -0.7421
C  -4.4086  -6.5474  1.3211
C  -4.4163  -6.2609  2.8430
H  -6.9470  -7.6207  1.3369
H  -7.1207  -7.2587  -0.3900
H  -8.3876  -6.7716  0.7401
H  -7.1773  -4.9305  0.0593
H  -6.9196  -5.1120  1.8104
H  -3.5073  -4.4483  0.2833
H  -4.6814  -3.7923  1.3546
H  -6.1598  -3.1867  -0.6756
H  -5.0506  -3.9891  -1.7099
H  -4.5310  -2.5793  -0.8598
H  -4.7357  -7.5740  1.1566
H  -3.3940  -6.5491  0.9228
H  -3.7809  -6.9877  3.3492
H  -4.0297  -5.2753  3.1025
H  -5.4517  -6.3931  3.1568
C  -7.9573  0.9102  -2.4862
C  -7.5098  -0.4328  -2.0653
N  -6.1135  -0.7481  -2.5094
C  -5.0962  0.1125  -1.8544
C  -5.2752  0.2612  -0.3745
C  -5.9313  -0.8652  -3.9641
C  -6.8696  -1.8861  -4.5618
H  -7.3726  1.7643  -2.1444
H  -8.9741  1.1049  -2.1449
H  -8.1213  1.0450  -3.5553
H  -7.5468  -0.5210  -0.9795
H  -8.2387  -1.1979  -2.3325
H  -4.1461  -0.4039  -1.9912
H  -4.9442  1.0641  -2.3639
H  -6.1208  0.8895  -0.0947
H  -5.4954  -0.7052  0.0789
H  -4.3826  0.7619  0.0006
H  -4.8917  -1.1154  -4.1753
H  -6.1723  0.0492  -4.5062
H  -6.8194  -2.8311  -4.0211
H  -6.6044  -1.9653  -5.6161
>>>

_Response_
Record 1
# C4H10N2O2

C4H10N2O2 as an isolated structure (the ωB97M-V functional and the def2-TZVPD basis, the Open Molecules 2025 dataset).

Cartesian coordinates (Å):
C  2.1703  -0.3002  -0.9078
C  -0.5667  -1.2267  1.1232
C  -0.5831  0.6892  -0.1203
C  -0.2585  2.0845  0.3171
H  2.0987  0.4528  -1.6886
H  1.8149  -1.2770  -1.4547
H  3.2019  -0.5125  -0.4333
H  -0.1207  -0.8251  2.1204
H  -1.7236  -0.9881  0.8399
H  -0.4452  -2.5760  1.1121
H  -0.2519  2.0570  1.4895
H  -1.3861  2.4880  0.1431
H  0.5592  2.4987  -0.2001
H  -1.7832  -1.4354  -1.2893
N  0.1198  -0.5300  -0.0196
N  -1.8292  0.4058  -0.5176
O  1.4332  -0.2664  0.2635
O  -2.4498  -0.7386  -0.7778

Computed properties:
relative energy (zero: lowest compared OMol25 entry of this formula, charge and spin)	209.1	kcal/mol
total charge	0

=====

Record 2
# C78H195N13

A 13-piece molecular cluster, C78H195N13 overall (the ωB97M-V functional and the def2-TZVPD basis, the Open Molecules 2025 dataset).

Cartesian coordinates (Å):
C  4.8561  1.4008  -3.2089
C  5.2998  1.4272  -1.7192
N  5.5983  2.8185  -1.3173
C  4.3679  3.6409  -1.4675
C  4.7978  5.0748  -1.6885
C  6.0764  2.7917  0.0277
C  7.5335  2.3455  0.1098
H  4.6900  0.3344  -3.3615
H  5.6201  1.8416  -3.8494
H  3.8862  1.8660  -3.3852
H  4.4969  0.8976  -1.2063
H  6.1934  0.8108  -1.6209
H  3.7723  3.5054  -2.3703
H  3.6834  3.5905  -0.6208
H  5.2736  5.1360  -2.6673
H  3.9230  5.7249  -1.6962
H  5.4545  5.3586  -0.8662
H  5.3613  2.2052  0.6046
H  6.0967  3.7931  0.4577
H  7.7601  1.3427  -0.2523
H  8.0500  2.4292  1.0660
H  8.0695  2.9160  -0.6486
C  -2.4382  7.3309  1.8193
C  -1.4602  6.6888  0.7967
N  -0.0746  7.0566  1.0563
C  0.7157  6.8546  -0.2054
C  0.9338  5.3873  -0.5978
C  0.4593  6.3670  2.2417
C  1.8400  6.8388  2.6173
H  -2.3331  8.4154  1.8502
H  -2.2137  6.9424  2.8127